Recent Advances in Solar Park Geotechnics - 7 Sept 2016
John Hall gave a presentation on Recent Advances in Solar Park Geotechnics developed by South West Geotechnical Ltd. The meeting was held at The Ley Arms, Kenn on Wednesday 7 September 2016 with a good attendance of 33 people
The talk introduced the growth of the solar industry in the UK over the past 10 years, which was largely initiated in the South West of England, and in which South West Geotechnical became heavily involved with various frame manufacturers and developers at an early stage.
Geotechnical issues that are unique to solar parks were discussed, and highlighted the principle requirement to ensure that post-driven piles that support the frameworks are properly designed to resist downward, lateral and in particular, upward wind forces.
The various methods of estimating required depths to satisfy these requirement were discussed and their merits assessed.
It was demonstrated that by carrying out full scale pile tests using controlled hydraulic test equipment, pile performances can be very accurately assessed, and pile depths can be optimised more precisely than by computer modelling using laboratory and in-situ strength tests.
A case study of the 74MW Shotwick Solar Park on Deeside was presented, and used to highlight the general investigation and testing process adopted by SWG. The study also demonstrated the advantages of using the individual test pile’s ‘ramming time’ to monitor small changes in soil strength across the site, which was later adopted as the checking procedure for the acceptability of piles at construction stage. 
The size and scale of this 224 acre site allowed a testing exercise over a fifteen week period, enabling the observation of how pile performances increased with time, and a time/ strength relationship to be measured. The speed of most solar development projects does not normally enable the luxury of such time-dependant information.
The talk also showcased how short sections of post-piles can be installed and tested using an adapted window sampler rig, enabling likely pile performance to be cost-effectively assessed at site investigation stage, ahead of full scale pile testing.
Rosevale Mine Visit - 2 July 2016
Venue: Rosevale Mine, Cornwall
Society members headed to the far west of the region to visit Rosevale Mine near Zennor, to explore the old workings of an archetypal west Cornwall tin mine.
The site is privately owned by the Rosevale Historical Mining Society – former miners and volunteers who have worked to restore the underground workings. They also provide an excellent and comprehensive tour around the underground workings, explaining the history of the mine, how mining methods evolved throughout the mine’s life, and of course, the geology of the area.

The following is a GGA+U calculation of a relaxed TaCoNF2 crystal, from Alexandria via LeMat-Bulk.

Fermi-level density of states   1.6 states/eV/f.u.
Relative energy among the computed polymorphs   0.000 eV/atom

a b c (Å): 4.1143 4.1143 4.0405
angles (deg): 90.00 90.00 90.00
With the nearest neighbours (Å) after each atom.
Fractional positions:
Ta 0.0000 0.0000 0.0000  2 N 2.02, 4 F 2.06
Co 0.5000 0.5000 0.5000  8 F 2.88, 4 N 2.91
N 0.0000 0.0000 0.5000  2 Ta 2.02
F 0.0000 0.5000 0.0000  2 Ta 2.06
F 0.5000 0.0000 0.0000  2 Ta 2.06

=====

1.
DFT (PBE) results for Ca2AlCl after structural relaxation.

**Relative energy among the computed polymorphs**: 357.8 meV per atom
**Calculated total energy**: -11.9 eV/cell
**Magnetization**: 0.0000 μB per atom
**Formation energy (no corrections)**: -0.580 eV/atom

a b c (Å): 3.537 3.537 10.726
angles (deg): 90.00 90.00 90.00
Space group P4mm (No. 99)
One atom of each set of equivalent atoms:
Ca  0.000  0.000  0.000 x1
Ca  0.500  0.500  0.300 x1
Al  0.500  0.500  0.821 x1
Cl  0.000  0.000  0.426 x1

2.
DFT (PBE) results for Ca2AlCl after structural relaxation.

**Relative energy among the computed polymorphs**: 875.9 meV per atom
**Calculated total energy**: -39.4 eV/cell
**Magnetization**: 0.0001 μB per atom
**Formation energy (no corrections)**: -0.062 eV/atom

a b c (Å): 7.740 7.740 7.740
angles (deg): 90.00 90.00 90.00
Space group F-43m (No. 216)
One atom of each set of equivalent atoms:
Ca  0.000  0.000  0.000 x4
Ca  0.250  0.250  0.250 x4
Al  0.000  0.000  0.500 x4
Cl  0.250  0.250  0.750 x4

3.
DFT (PBE) results for CaAl2Cl after structural relaxation.

**Relative energy among the computed polymorphs**: 591.7 meV per atom
**Calculated total energy**: -11.3 eV/cell
**Magnetization**: 0.0000 μB per atom
**Formation energy (no corrections)**: -0.003 eV/atom

a b c (Å): 3.259 3.259 8.629
angles (deg): 90.00 90.00 90.00
Space group P4/mmm (No. 123)
One atom of each set of equivalent atoms:
Ca  0.000  0.000  0.000 x1
Al  0.500  0.500  0.260 x2
Cl  0.000  0.000  0.500 x1

4.
DFT (PBE) results for CaAl2Cl after structural relaxation.

**Relative energy among the computed polymorphs**: 16.6 meV per atom
**Calculated total energy**: -27.3 eV/cell
**Magnetization**: 0.0000 μB per atom
**Formation energy (no corrections)**: -0.578 eV/atom

a b c (Å): 8.194 3.771 8.479
angles (deg): 90.00 111.72 90.00
Space group Cm (No. 8)
One atom of each set of equivalent atoms:
Ca  0.000  0.000  0.000 x2
Al  0.016  0.500  0.359 x2
Al  0.288  0.500  0.290 x2
Cl  0.252  0.000  0.833 x2

5.
DFT (PBE) results for CaAlCl after structural relaxation.

**Relative energy among the computed polymorphs**: 0.0 meV per atom
**Calculated total energy**: -19.5 eV/cell
**Magnetization**: 0.0000 μB per atom
**Formation energy (no corrections)**: -0.721 eV/atom

a b c (Å): 3.371 3.371 16.774
angles (deg): 90.00 90.00 90.00
Space group I4mm (No. 107)
One atom of each set of equivalent atoms:
Ca  0.000  0.000  0.000 x2

On arrival, Tony Bennett (of the RHMS) introduced the group of 18 whilst getting kitted out with lamps and hard hats. He explained that there are 18th and 19th century records of mining in the area, but they would have been only very small scale workings using primitive methods. Investment in the mine in the early 20th century brought about further exploration and the installation of a processing mill. However, work was suspended with the outbreak of WWI and never restarted.

The tour began up the hill, entering the mine at the No.1 Level porthole, and following the drive until it intersected the lode. The mine is situated in the northern lobe of the Land’s End Granite, and the mineralisation is hosted by coarse grained biotite granite with K-feldspar phenocrysts up to 8 cm in length. The granite was quite kaolinised in places, especially where fluids from the mineralised veins had penetrated the surrounding granite. The mineralised veins followed fractures in the granite, trending ENE-WSW. They and are up to 1 m wide and contain 5-8% tin in places. The predominant visible minerals present are tourmaline, quartz and chlorite. Once the drives intersected these lodes, they followed them along strike for their duration.
As we followed the lode westwards along No.1 Level, markings on the wall were pointed noted, left behind from the miners who drilled and blasted the tunnel. The holes were hand drilled, using hammers and steels, and then black powder was used to blast away the rock face. This method saw approximately 6 inches of progress a day, which makes you appreciate the effort that went in to driving these tunnels 300 metres in to the hillside.

- - -
Entry 1:
A relaxed Pr11Dy9Ho4 crystal. Source: Alexandria via LeMat-Bulk, functional GGA-PBE.

Lattice parameters (Å, degrees): 15.515 15.515 3.677 90.00 90.00 113.15
Fractional positions:
Pr 0.000 0.000 0.000
Pr 0.043 0.405 0.000
Pr 0.160 0.840 0.000
Pr 0.293 0.293 0.000
Pr 0.369 0.631 0.000
Pr 0.405 0.043 0.000
Pr 0.595 0.957 0.000
Pr 0.631 0.369 0.000
Pr 0.707 0.707 0.000
Pr 0.840 0.160 0.000
Pr 0.957 0.595 0.000
Dy 0.068 0.214 0.500
Dy 0.166 0.630 0.500
Dy 0.214 0.068 0.500
Dy 0.370 0.834 0.500
Dy 0.500 0.500 0.500
Dy 0.630 0.166 0.500
Dy 0.786 0.932 0.500
Dy 0.834 0.370 0.500
Dy 0.932 0.786 0.500
Ho 0.241 0.445 0.500
Ho 0.445 0.241 0.500
Ho 0.555 0.759 0.500
Ho 0.759 0.555 0.500

***

Entry 2:
A relaxed Pr2DyHo2 crystal. Source: Alexandria via LeMat-Bulk, functional GGA-PBE.

Output
* E above lowest polymorph: 6.034 kcal/mol of atoms

Lattice parameters (Å, degrees): 8.842 8.842 6.272 90.00 90.00 134.07
Fractional positions:
Pr 0.100 0.900 0.750
Pr 0.330 0.670 0.250
Pr 0.670 0.330 0.750
Pr 0.900 0.100 0.250
Dy 0.500 0.500 0.000
Dy 0.500 0.500 0.500
Ho 0.091 0.431 0.750
Ho 0.431 0.091 0.250
Ho 0.569 0.909 0.750
Ho 0.909 0.569 0.250

***

| no. | ΔH_f (0 K) (eV/f.u.) | total energy (eV/atom) |
| --- | --- | --- |
| 1 | 1.4 | -4.623 |
| 2 | 1.4 | -4.375 |
- - -
The calculated crystals stop here.

We then descended down the main stope using the ladderway. Stoping was the main method to extract the lodes. By driving a tunnel along the lode, the vein material in the roof above was then extracted. Waste material was dumped below as backfill, and the ore material was taken out along the drive to the surface. This method leaves a cavernous void in the mine, stabilised by pillars left during extraction and wooden beams.
After the two and a half hour underground tour, we exited the mine out of the No.2 Level porthole. Time was allowed for the group to look at the old dressing floors and the mine dumps for any mementoes.
Thanks to Tony Bennett and the volunteers at Rosevale Mine for accommodating this trip by the South West Regional Group and providing a brilliant tour of the mine.
Thanks also to Camborne School of Mines for providing the lamps for the group.

An Audience with Sarah Fray - 26 May 2016
Venue: Plymouth Lecture Theatre, Plymouth University
Sarah Fray, the new executive secretary of the geological society, gave the regional group an interesting and inspiring talk on 26 May at Plymouth University. After being told as a child that 'girls don't do geology' she went on to study engineering at Plymouth, when it was a small institution of just 3500 students.
A job, as essentially a geotechnical engineer, followed involving lots of site investigation. Subsequently, Sarah took up the role of director of engineering at the ISE where she realised that you could influence things and make a difference through professional bodies. When asked to apply for the Executive Secretary role she thought 'that sounds interesting!'
Sarah also gave us an overview of changes made and planned for the society, including changes to the council, my GSL, the new 2017 - 2027 strategy and diversity planning. We thank Sarah once again and hope to see her again in the SW soon!

Near Surface Geophysics as used in Geotechnical Site Investigations - 20 January 2016
Venue: Portland Square Stonehouse Lecture Theatre
Simon Hughes of Terradat came to the South-West and gave us a very thought provoking talk about the use of near-surface geophysics techniques for site investigation purposes. His talk was very much aimed at the industry professional as he talked the audience through the range of geophysical techniques frequently used by the ground engineering professional.
He gave a balanced overview of the techniques, as he weighed up the advantages, considerations and caveats of geophysics, and punctuated his entertaining talk with anecdotes and case studies of previous projects. His case studies included; foundations of windfarms, hidden mineshafts and ground investigations for a new highway.
Simon stressed the importance of the client-contractor relationship and that communication between parties is vital. He clearly showed the added value provided by geophysical techniques due to the rapidity and increased coverage that the techniques achieve
Dawlish Rail Slope Stability Works - 22 April 2015 
Venue: The Ley Arms, Kenn
Mr Nick John, Network Rail’s SW Route Asset Manager for Earthworks gave a talk about two failures of the Permian Brecia cliffs next to the railway track at Dawlish that occurred in 2012 and 2014.
The 2012 event was first identified in November 2012 after 208mm monthly rainfall, 152% of the long term average (LTA). This composite landslide comprised a series of small incremental slides topples and falls of very weak weathered breccia and overlying gravels around a pre-existing failure bowl on the the upper cliffs. The displaced debris accumulated in the floor of the bowl and following intense rainfall formed a series of debris flows down a gulley through the lower cliff to accumulate at the cliff toe next to the rail track. This resulted in limited line closure to clear the material.
Remedial measures included stabilisation of the bowl on the upper cliff by installation of 250 10m soil nails and 16 horizontal drainage holes. Ground water discharge and runoff is collected in a drainage system that discharges into the sea.
The 2014 failure was a 70m wide block slide of the cliff line just west of the 2012 failure.It occurred in February after 301mm monthly rainfall, 188% of the LTA. Initially creep and heave movements were noticed track side at the toe of the cliffs and subsequent aerial survey using a drone helped identify the extent of the failure.
A 5m high main scarp had developed below the cliff crest and ongoing creeping movements were recorded over the following month. Remedial measures comprised reduction of the failure mass by about 25,000 tons (some 50%) using china clay water cannon monitors to erode loose weak material. The landslide then stopped moving allowing the track to be reopened.
The long term stabilisation of the area was achieved by installing 20m soil nails through the failed block with continued monitoring. The talk was very effectively illustrated with slides and aerial video footage from the drone.
Chartership Talk for South West Regional Group - 4 March 2015
After the Geological Careers day at Plymouth University, Bill Gaskarth presented a comprehensive talk encompassing everything from the origins of the chartered geologist, to hints and tips on getting your chartership approved.
Key questions to ask before starting on the road to chartership are relayed:
- Are you a fellow?
- Do you have 5 years of practice?
- Are you ready?
- Which is more applicable to your career and background - CGeol or CSci?
He also strongly advocates talking to your line managers and arranging sponsors well in advance, so that they can read your application and give you advice that you can act upon.
Once you are ready and have found your sponsors, you will need to carefully select a maximum of 6 supporting documents for your application. Bill stressed that these did not need to be solely written reports but could encompass other material demonstrating your competencies – such as cross-sections, interpretative models etc. Your CPD is also important here and should be kept up-to-date not only with training courses, but other development activities like reading, presenting material, mentoring colleagues and on the job learning. All of which of course should be reflected upon in the record.
The final stage of the application consists of a 15 minute presentation and a 1.5 – 2 hour interview by the scruntineers.
Two interesting points arose from this last part of the talk; firstly, that if there are 12 + applicants from the region, a local interview (potentially Bristol/Exeter) could be arranged to save travel up to London. Secondly, the SW Regional group early careers meeting would be a prefect venue for practicing the 15 minute required presentation. If you are interested in either of these opportunities then please contact the SW Regional group committee.
Finally, Bill made us aware that there are travel scholarships available from the Geological Society for people trying to become chartered or just chartered.
Talk on Mass Extinction - 12 May 2011
Dr Richard Twitchett gave a fascinating talk on Mass Extinction at a new venue for the regional group - Torquay Girls' Grammar School. The school is a school affiliate of the Geological Society and has a vibrant Geology Club.
The talk looked at how we are able to define a mass extinction. This was followed by a detailed overview of the work that Dr Twitchett has undertaken on the "big one" - the Permian-Triassic extinction and recovery: The mass extinction event at the end of the Permian Period was the most severe such event of the Phanerozoic. Dr Twitchett explained how gaining an understanding of the causes and consequences of the end-Permian extinction event is crucial to understanding the evolution of the Earth's biosphere. He also discussed the work he has undertaken on the Lilliput effect: a term which describes the temporary appearance of small body size in animals in the aftermath of extinction events. This phenomenon is widespread, occurs after most biotic crises, but is relatively little studied. He explained that assuming that the Lilliput effect is not the result of bias in the fossil record, then it must reflect a real biological response to changing environmental factors.
Perhaps a message is not to be a specialist and don't get too big!
We are extremely grateful to the management team at Torquay Girls' Grammar School, who provided an excellent set of refreshments and we look forward to building on this new and exciting relationship.
Pictured are Dr Richard Twitchett (University of Plymouth), Mr Gordon Neighbour (Torquay Girls' Grammar School), Dr Mark Anderson (University of Plymouth) and Miss Bethany Dove (Torquay Girls' Grammar School).
Lilstock Field Trip - 17 April 2011
The South West Regional Group of the Geological Society ran a field trip to the classic fossil locality of Lilstock on the north Somerset coast. The locality is part of GCR site 0145 and is internationally renowned for its Triassic and Lower Jurassic fossil bearing strata. The Blue Anchor–Lilstock Coast GCR site exposes a greater thickness of Hettangian and Lower Sinemurian strata than is seen in any other correlative section in an onshore basin in Britain. Its basinal setting provides a valuable contrast with the basin-margin succession exposed on the southern flanks of the Mendip High and along the south Wales coast. This is a site recognised as being of clear international significance for Lower Jurassic chronostratigraphy.
We were fortunate in being able to play host to members of the Open University Geological Society (south-west branch) and members of both Somerton and Taunton U3A. 
The site has been described as being rich in reptile remains and it is not uncommon to find bones at Lilstock on the foreshore and in the cliff. Complete skeletons are regularly found at the locality, although on this trip the finds were somewhat more fragmentary. Lilstock also yields ammonites, shells and fish remains. On the day, everybody was able to find a mixture of fossils, with the ammonite Psiloceras planorbis being the most common. A single Ichthyosaur vertebra was found in the lower part of the succession and many indeterminate fossil bones were also found. The site yielded many coprolites with examples containing fish scales, parts of bones and fish teeth.
In the afternoon the group moved to the eastern section of the coast and looked at the exposures of the Westbury Formation, where many different fossils were found in the Triassic beds exposed along the foreshore.